Request:
Restate all of the block underneath unchanged.

Listing:
~~~
Entry 1:
Entry from Alexandria via LeMat-Bulk: a relaxed structure of CeYCu2Ge2 (PBE-GGA).

The structure belongs to space group P-3m1 (No. 164); the cell edges are 4.2456, 4.2456 and 7.6792 Å and the angles 90.00°, 90.00° and 120.00°. The distinct sites, in fractional coordinates, are Ce at (0.0000, 0.0000, 0.0000), Y at (0.0000, 0.0000, 0.5000), Cu at (0.3333, 0.6667, 0.2602) and Ge at (0.3333, 0.6667, 0.7472).

As for the energy of formation from the pure elements: -0.643 eV/atom. The value obtained for the density of states at the Fermi level is 6.566 states/eV/cell.

Entry 2:
Entry from Alexandria via LeMat-Bulk: a relaxed structure of CeZnCuGe2 (PBE-GGA).

The structure belongs to space group I-4m2 (No. 119); the cell edges are 4.1363, 4.1363 and 10.8185 Å and the angles 90.00°, 90.00° and 90.00°. The distinct sites, in fractional coordinates, are Ce at (0.0000, 0.0000, 0.0000), Zn at (0.0000, 0.5000, 0.7500), Cu at (0.0000, 0.5000, 0.2500) and Ge at (0.0000, 0.0000, 0.3826).

As for the energy of formation from the pure elements: -0.439 eV/atom. The value obtained for the density of states at the Fermi level is 12.992 states/eV/cell.

Entry 3:
Entry from Alexandria via LeMat-Bulk: a relaxed structure of Ce12Cu3H5 (PBE-GGA).

The structure belongs to space group Ia-3d (No. 230); the cell edges are 15.0781, 15.0781 and 15.0781 Å and the angles 90.00°, 90.00° and 90.00°. The distinct sites, in fractional coordinates, are Ce at (0.0430, 0.0692, 0.6493), Cu at (0.0000, 0.2500, 0.1250), H at (0.0000, 0.0000, 0.0000) and H at (0.0000, 0.2500, 0.3750).

The value obtained for the density of states at the Fermi level is 462.283 states/eV/cell.

Entry 4:
Entry from Alexandria via LeMat-Bulk: a relaxed structure of Ce3Cu5H12 (PBE-GGA).

The structure belongs to space group Ia-3d (No. 230); the cell edges are 11.8046, 11.8046 and 11.8046 Å and the angles 90.00°, 90.00° and 90.00°. The distinct sites, in fractional coordinates, are Ce at (0.0000, 0.2500, 0.1250), Cu at (0.0000, 0.0000, 0.0000), Cu at (0.0000, 0.2500, 0.3750) and H at (0.0352, 0.0487, 0.6469).

The value obtained for the density of states at the Fermi level is 130.751 states/eV/cell.

Entry 5:
Entry from Alexandria via LeMat-Bulk: a relaxed structure of Ce3CuH3 (PBE-GGA).

The structure belongs to space group Pm-3n (No. 223); the cell edges are 6.3320, 6.3320 and 6.3320 Å and the angles 90.00°, 90.00° and 90.00°. The distinct sites, in fractional coordinates, are Ce at (0.0000, 0.2500, 0.5000), Cu at (0.0000, 0.0000, 0.0000) and H at (0.0000, 0.5000, 0.2500).

The value obtained for the density of states at the Fermi level is 35.485 states/eV/cell.

Entry 6:
Entry from Alexandria via LeMat-Bulk: a relaxed structure of CeCuH6Ir (PBE-GGA).

The structure belongs to space group P-6m2 (No. 187); the cell edges are 4.6296, 4.6296 and 4.3622 Å and the angles 90.00°, 90.00° and 120.00°. The distinct sites, in fractional coordinates, are Ce at (0.0000, 0.0000, 0.0000), Cu at (0.3333, 0.6667, 0.5000), H at (0.5051, 0.0102, 0.2370) and Ir at (0.6667, 0.3333, 0.5000).

The value obtained for the density of states at the Fermi level is 6.576 states/eV/cell.

Number 1: total magnetization 0.88 μB per formula unit, DFT total energy -0.2063 Ha/atom, calculated volume 20.0 Å³ per atom. Number 2: total magnetization 0.87 μB per formula unit, DFT total energy -0.1671 Ha/atom, calculated volume 18.5 Å³ per atom. Number 3: total magnetization 10.67 μB per formula unit, DFT total energy -0.1858 Ha/atom, calculated volume 21.4 Å³ per atom. Number 4: total magnetization 2.58 μB per formula unit, DFT total energy -0.1500 Ha/atom, calculated volume 10.3 Å³ per atom. Number 5: total magnetization 4.35 μB per formula unit, DFT total energy -0.1716 Ha/atom, calculated volume 18.1 Å³ per atom. Number 6: total magnetization 0.78 μB per formula unit, DFT total energy -0.1701 Ha/atom, calculated volume 9.0 Å³ per atom.
~~~

Here it is:
Entry 1:
Entry from Alexandria via LeMat-Bulk: a relaxed structure of CeYCu2Ge2 (PBE-GGA).

The structure belongs to space group P-3m1 (No. 164); the cell edges are 4.2456, 4.2456 and 7.6792 Å and the angles 90.00°, 90.00° and 120.00°. The distinct sites, in fractional coordinates, are Ce at (0.0000, 0.0000, 0.0000), Y at (0.0000, 0.0000, 0.5000), Cu at (0.3333, 0.6667, 0.2602) and Ge at (0.3333, 0.6667, 0.7472).

As for the energy of formation from the pure elements: -0.643 eV/atom. The value obtained for the density of states at the Fermi level is 6.566 states/eV/cell.

Entry 2:
Entry from Alexandria via LeMat-Bulk: a relaxed structure of CeZnCuGe2 (PBE-GGA).

The structure belongs to space group I-4m2 (No. 119); the cell edges are 4.1363, 4.1363 and 10.8185 Å and the angles 90.00°, 90.00° and 90.00°. The distinct sites, in fractional coordinates, are Ce at (0.0000, 0.0000, 0.0000), Zn at (0.0000, 0.5000, 0.7500), Cu at (0.0000, 0.5000, 0.2500) and Ge at (0.0000, 0.0000, 0.3826).

As for the energy of formation from the pure elements: -0.439 eV/atom. The value obtained for the density of states at the Fermi level is 12.992 states/eV/cell.

Entry 3:
Entry from Alexandria via LeMat-Bulk: a relaxed structure of Ce12Cu3H5 (PBE-GGA).

The structure belongs to space group Ia-3d (No. 230); the cell edges are 15.0781, 15.0781 and 15.0781 Å and the angles 90.00°, 90.00° and 90.00°. The distinct sites, in fractional coordinates, are Ce at (0.0430, 0.0692, 0.6493), Cu at (0.0000, 0.2500, 0.1250), H at (0.0000, 0.0000, 0.0000) and H at (0.0000, 0.2500, 0.3750).

The value obtained for the density of states at the Fermi level is 462.283 states/eV/cell.

Entry 4:
Entry from Alexandria via LeMat-Bulk: a relaxed structure of Ce3Cu5H12 (PBE-GGA).

The structure belongs to space group Ia-3d (No. 230); the cell edges are 11.8046, 11.8046 and 11.8046 Å and the angles 90.00°, 90.00° and 90.00°. The distinct sites, in fractional coordinates, are Ce at (0.0000, 0.2500, 0.1250), Cu at (0.0000, 0.0000, 0.0000), Cu at (0.0000, 0.2500, 0.3750) and H at (0.0352, 0.0487, 0.6469).

The value obtained for the density of states at the Fermi level is 130.751 states/eV/cell.

Entry 5:
Entry from Alexandria via LeMat-Bulk: a relaxed structure of Ce3CuH3 (PBE-GGA).

The structure belongs to space group Pm-3n (No. 223); the cell edges are 6.3320, 6.3320 and 6.3320 Å and the angles 90.00°, 90.00° and 90.00°. The distinct sites, in fractional coordinates, are Ce at (0.0000, 0.2500, 0.5000), Cu at (0.0000, 0.0000, 0.0000) and H at (0.0000, 0.5000, 0.2500).

The value obtained for the density of states at the Fermi level is 35.485 states/eV/cell.

Entry 6:
Entry from Alexandria via LeMat-Bulk: a relaxed structure of CeCuH6Ir (PBE-GGA).

The structure belongs to space group P-6m2 (No. 187); the cell edges are 4.6296, 4.6296 and 4.3622 Å and the angles 90.00°, 90.00° and 120.00°. The distinct sites, in fractional coordinates, are Ce at (0.0000, 0.0000, 0.0000), Cu at (0.3333, 0.6667, 0.5000), H at (0.5051, 0.0102, 0.2370) and Ir at (0.6667, 0.3333, 0.5000).

The value obtained for the density of states at the Fermi level is 6.576 states/eV/cell.

Number 1: total magnetization 0.88 μB per formula unit, DFT total energy -0.2063 Ha/atom, calculated volume 20.0 Å³ per atom. Number 2: total magnetization 0.87 μB per formula unit, DFT total energy -0.1671 Ha/atom, calculated volume 18.5 Å³ per atom. Number 3: total magnetization 10.67 μB per formula unit, DFT total energy -0.1858 Ha/atom, calculated volume 21.4 Å³ per atom. Number 4: total magnetization 2.58 μB per formula unit, DFT total energy -0.1500 Ha/atom, calculated volume 10.3 Å³ per atom. Number 5: total magnetization 4.35 μB per formula unit, DFT total energy -0.1716 Ha/atom, calculated volume 18.1 Å³ per atom. Number 6: total magnetization 0.78 μB per formula unit, DFT total energy -0.1701 Ha/atom, calculated volume 9.0 Å³ per atom.